It remains to repeat every line further down that contains the word "based".

Rb2AsSF5: computed XRD peak list (Cu Kα), based on the GGA-PBE geometry in Alexandria.

Atomic structure:
```
data_Rb2AsSF5
_symmetry_space_group_name_H-M 'I 4 m m'
_symmetry_Int_Tables_number 107
_symmetry_space_group_name_Hall 'I 4 -2'
_cell_length_a 6.633
_cell_length_b 6.633
_cell_length_c 8.803
_cell_angle_alpha 90.00
_cell_angle_beta 90.00
_cell_angle_gamma 90.00
loop_
_atom_site_label
_atom_site_type_symbol
_atom_site_fract_x
_atom_site_fract_y
_atom_site_fract_z
Rb1 Rb 0.000 0.500 0.000
As1 As 0.000 0.000 0.252
S1 S 0.000 0.000 0.496
F1 F 0.000 0.000 0.044
F2 F 0.197 0.197 0.228
```

Principal peaks in the range 10° ≤ 2θ ≤ 90°, in order of falling intensity:
Position (°2θ)  I/Imax  h k l
16.73  100  1 0 1
27.80  100  1 1 2
26.88  73  2 0 0
38.38  59  2 2 0
33.84  58  2 0 2
48.05  34  3 1 2
57.42  30  2 2 4
49.72  27  2 0 4
41.01  25  0 0 4
77.63  19  4 2 4

---

Rb2TaAsF6: computed XRD peak list (Cu Kα), based on the GGA-PBE geometry in Alexandria.

Atomic structure:
```
data_Rb2TaAsF6
_symmetry_space_group_name_H-M 'I 4/m m m'
_symmetry_Int_Tables_number 139
_symmetry_space_group_name_Hall '-I 4 2'
_cell_length_a 7.072
_cell_length_b 7.072
_cell_length_c 10.715
_cell_angle_alpha 90.00
_cell_angle_beta 90.00
_cell_angle_gamma 90.00
loop_
_atom_site_label
_atom_site_type_symbol
_atom_site_fract_x
_atom_site_fract_y
_atom_site_fract_z
Rb1 Rb 0.000 0.500 0.250
Ta1 Ta 0.000 0.000 0.000
As1 As 0.000 0.000 0.500
F1 F 0.000 0.000 0.181
F2 F 0.193 0.193 0.000
```

Principal peaks in the range 10° ≤ 2θ ≤ 90°, in order of falling intensity:
Position (°2θ)  I/Imax  h k l
24.35  100  1 1 2
25.19  45  2 0 0
15.01  39  1 0 1
43.87  35  3 1 2
35.92  28  2 2 0
42.33  18  2 0 4
49.89  18  2 2 4
33.45  16  0 0 4
54.57  14  1 1 6
67.07  13  3 1 6

---

Rb2TiAsF6: computed XRD peak list (Cu Kα), based on the GGA-PBE geometry in Alexandria.

Atomic structure:
```
data_Rb2TiAsF6
_symmetry_space_group_name_H-M 'I 4/m m m'
_symmetry_Int_Tables_number 139
_symmetry_space_group_name_Hall '-I 4 2'
_cell_length_a 7.150
_cell_length_b 7.150
_cell_length_c 8.158
_cell_angle_alpha 90.00
_cell_angle_beta 90.00
_cell_angle_gamma 90.00
loop_
_atom_site_label
_atom_site_type_symbol
_atom_site_fract_x
_atom_site_fract_y
_atom_site_fract_z
Rb1 Rb 0.000 0.500 0.250
Ti1 Ti 0.000 0.000 0.000
As1 As 0.000 0.000 0.500
F1 F 0.000 0.000 0.239
F2 F 0.188 0.188 0.000
```

Principal peaks in the range 10° ≤ 2θ ≤ 90°, in order of falling intensity:
Position (°2θ)  I/Imax  h k l
28.11  100  1 1 2
24.91  74  2 0 0
35.51  52  2 2 0
45.89  38  3 1 2
58.11  22  2 2 4
51.59  19  2 0 4
57.66  19  4 2 0
33.33  18  2 0 2
75.57  16  4 2 4
59.34  16  3 3 2

---

AsS6F: computed XRD peak list (Cu Kα), based on the GGA-PBE geometry in Alexandria.

Atomic structure:
```
data_AsS6F
_symmetry_space_group_name_H-M 'C 1 m 1'
_symmetry_Int_Tables_number 8
_cell_length_a 5.741
_cell_length_b 15.372
_cell_length_c 6.213
_cell_angle_alpha 90.00
_cell_angle_beta 117.33
_cell_angle_gamma 90.00
loop_
_symmetry_equiv_pos_as_xyz
'x,y,z'
'x,-y,z'
'x+1/2,y+1/2,z'
'x+1/2,-y+1/2,z'
loop_
_atom_site_label
_atom_site_type_symbol
_atom_site_fract_x
_atom_site_fract_y
_atom_site_fract_z
As1 As 0.000 0.000 0.000
S1 S 0.096 0.000 0.391
S2 S 0.147 0.200 0.784
S3 S 0.285 0.500 0.450
S4 S 0.446 0.301 0.972
F1 F 0.153 0.500 0.886
```

Principal peaks in the range 10° ≤ 2θ ≤ 90°, in order of falling intensity:
Position (°2θ)  I/Imax  h k l
18.33  100  1 1 0
23.15  54  0 4 0
16.06  53  0 0 1
34.05  43  1 5 0
19.80  32  0 2 1
29.43  22  1 1 -2
33.81  19  1 3 1
41.37  18  1 5 1
35.02  18  0 6 0
11.51  18  0 2 0

---

AsS5F: computed XRD peak list (Cu Kα), based on the GGA-PBE geometry in Alexandria.

Atomic structure:
```
data_AsS5F
_symmetry_space_group_name_H-M 'P 1'
_symmetry_Int_Tables_number 1
_cell_length_a 4.516
_cell_length_b 4.687
_cell_length_c 9.429
_cell_angle_alpha 101.83
_cell_angle_beta 90.95
_cell_angle_gamma 96.58
loop_
_symmetry_equiv_pos_as_xyz
'x,y,z'
loop_
_atom_site_label

Rb2AsSF5: computed XRD peak list (Cu Kα), based on the GGA-PBE geometry in Alexandria.
Rb2TaAsF6: computed XRD peak list (Cu Kα), based on the GGA-PBE geometry in Alexandria.
Rb2TiAsF6: computed XRD peak list (Cu Kα), based on the GGA-PBE geometry in Alexandria.
AsS6F: computed XRD peak list (Cu Kα), based on the GGA-PBE geometry in Alexandria.
AsS5F: computed XRD peak list (Cu Kα), based on the GGA-PBE geometry in Alexandria.